Russia’s Research Institute for Atomic Reactors (NIIAR) has started the industrial production of ionising radiation (gamma) sources based on cobalt-60 (Co-60), which are widely used for medical purposes for cancer treatment.

The new production facility is located in the building of the SM-3 reactor which produces a range of radioisotopes, including Co-60. SM-3 is a high-flux water-cooled vessel-type research reactor with a neutron trap that operates in the intermediate neutron spectrum. There are 30 channels 68mm in diameter in the beryllium reflector, 27 channels 12mm in diameter in the central moderating area and 24 channels 12mm in diameter in fuel assemblies. The reactor was commissioned in 1961.

NIIAR director Alexander Tuzov said it was “an important stage in the development of the Institute's production base”, noting that more than RUB180m ($3m) had been invested in the project, which was undertaken within the framework of a Chinese-Russian joint venture, Beijing KiaE-NIIAR company of radioisotopes with limited liability”. Commissioning of the new installation will boost the Institute’s export prospects, he added.

The manufacture of sources of ionising radiation based on cobalt-60 had been ongoing at the Institute for more than 15 years, from 1995 to 2012 but in 2013 the original plant was decommissioned and then dismantled. In July the new facility was completed, licensed and commissioned for trial operation, explained Deputy Production Director Alexander Zvir. "Most of the equipment for the site and all construction and installation work were carried out by the staff of the Institute." 

NIIAR was established in 1956, and in 2008 became an open joint-stock company state research centre under integrated company Atomenergoprom (part of state nuclear corporation Rosatom). NIIAR is Russia’s most prominent research facility, with six research reactors on site.

Cobalt-60 production is also being increased at other Russian facilities. On 30 September 2017, the first additional cobalt absorber was loaded into the RBMK reactor at Smolensk 1 (a subsidiary of Rosenergoatom Concern, part of the Rosatom Electric Power Division) as part of a large-scale development programme to increase Co-60 supplies for medicine and industry.

Deputy Chief Engineer for Safety and Reliability at Smolensk, Alexander Abaimov explained that “the design features of the RBMK (high-capacity channel reactor) allow the loading and unloading of additional cobalt absorbers at any time, irradiating a large amount of starting material without disrupting the technological cycle”. The process of irradiating cobalt to obtain the desired isotope takes about five years.

Ruslan Smirnov, deputy head of the Radiation Technology Department at Smolensk NPP noted that the cobalt absorbers have two functions: economically feasible isotope production for the production of gamma radiation sources, and ensuring the safe operation of the reactor by maintaining the steam reactivity coefficient within limits set by the technological regulations.  At the end of 2017, some 20 cobalt sinks produced by the  Machine-Building Plant will be loaded into Smolensk 1, and in 2018-2019, additional cobalt absorbers will be loaded into the reactors at Smolensk 2&3 and also Kursk 4, also RBMKs.

[Records of crystals that have nothing to do with the page]
A geometry-optimized Ta22Cu3S36 structure, computed with PBE-GGA.

As for the formation energy: -78.104 eV per formula unit. Its total magnetization is 1.828 μB per cell. For the uncorrected energy, the calculation gives -7.903 eV per atom.

abc: 26.3911 3.3313 28.2361
angles: 90.00 113.43 90.00
Last column: nearest neighbours and their distance in Å.
Space group Cm (No. 8)
Inequivalent atoms, fractional coordinates:
Ta 0.0000 0.0000 0.0000 [2 per cell]  6 S 2.46-2.50
Ta 0.0031 0.0000 0.7623 [2 per cell]  6 S 2.47-2.58
Ta 0.0170 0.0000 0.5375 [2 per cell]  6 S 2.47-2.57
Ta 0.0558 0.5000 0.1113 [2 per cell]  6 S 2.46-2.51
Ta 0.0725 0.5000 0.6479 [2 per cell]  6 S 2.46-2.58
Ta 0.1122 0.0000 0.2249 [2 per cell]  6 S 2.45-2.50
Ta 0.1263 0.0000 0.7594 [2 per cell]  6 S 2.45-2.56
Ta 0.1665 0.5000 0.3328 [2 per cell]  6 S 2.47-2.55
Ta 0.1810 0.5000 0.8722 [2 per cell]  6 S 2.47-2.54
Ta 0.2214 0.0000 0.4460 [2 per cell]  6 S 2.46-2.56
Ta 0.2354 0.0000 0.9809 [2 per cell]  6 S 2.44-2.53
Ta 0.2753 0.5000 0.5575 [2 per cell]  6 S 2.46-2.58
Ta 0.2911 0.5000 0.0934 [2 per cell]  6 S 2.46-2.52
Ta 0.3309 0.0000 0.6679 [2 per cell]  6 S 2.47-2.57
Ta 0.3447 0.0000 0.4431 [2 per cell]  6 S 2.47-2.58
Ta 0.3477 0.0000 0.2058 [2 per cell]  6 S 2.46-2.52
Ta 0.3864 0.5000 0.7785 [2 per cell]  6 S 2.45-2.53
Ta 0.3917 0.5000 0.5396 [2 per cell]  6 S 2.46-2.65
Ta 0.4033 0.5000 0.3187 [2 per cell]  6 S 2.47-2.51
Ta 0.4443 0.0000 0.8867 [2 per cell]  6 S 2.47-2.51
Ta 0.4561 0.0000 0.6657 [2 per cell]  6 S 2.46-2.65
Ta 0.4614 0.0000 0.4269 [2 per cell]  6 S 2.44-2.53
Cu 0.3417 0.0000 0.9716 [2 per cell]  4 S 2.23-2.35
Cu 0.3987 0.5000 0.0852 [2 per cell]  4 S 2.21-2.35
Cu 0.4548 0.0000 0.1983 [2 per cell]  4 S 2.22-2.36
S 0.0325 0.0000 0.6894 [2 per cell]  6 Ta 2.47-2.50
S 0.0354 0.5000 0.1906 [2 per cell]  1 Cu 2.22
S 0.0373 0.0000 0.4593 [2 per cell]  3 Ta 2.47-2.48
S 0.0369 0.5000 0.9577 [2 per cell]  3 Ta 2.46-2.47
S 0.0838 0.5000 0.8020 [2 per cell]  5 Ta 2.54-2.58
S 0.0906 0.0000 0.3021 [2 per cell]  3 Ta 2.46-2.48
S 0.0922 0.5000 0.5698 [2 per cell]  3 Ta 2.46-2.47
S 0.0934 0.0000 0.0698 [2 per cell]  3 Ta 2.46-2.47
S 0.1422 0.0000 0.9131 [2 per cell]  3 Ta 2.44-2.47
S 0.1471 0.5000 0.4124 [2 per cell]  3 Ta 2.46-2.50
S 0.1482 0.0000 0.6817 [2 per cell]  3 Ta 2.48
S 0.1483 0.5000 0.1818 [2 per cell]  3 Ta 2.46-2.47
S 0.1984 0.5000 0.0236 [2 per cell]  3 Ta 2.46-2.47
S 0.1997 0.0000 0.5237 [2 per cell]  3 Ta 2.48
S 0.2005 0.5000 0.7925 [2 per cell]  3 Ta 2.45-2.50
S 0.2061 0.0000 0.2924 [2 per cell]  3 Ta 2.45-2.47
S 0.2543 0.0000 0.1359 [2 per cell]  3 Ta 2.47
S 0.2556 0.5000 0.6356 [2 per cell]  3 Ta 2.46-2.47
S 0.2568 0.0000 0.9013 [2 per cell]  1 Cu 2.33, 3 Ta 2.48-2.53
S 0.2639 0.5000 0.4035 [2 per cell]  5 Ta 2.55-2.58
S 0.3103 0.5000 0.2474 [2 per cell]  3 Ta 2.46-2.48
S 0.3105 0.0000 0.7461 [2 per cell]  3 Ta 2.47-2.48
S 0.3129 0.5000 0.0143 [2 per cell]  3 Cu 2.35, 3 Ta 2.51-2.52
S 0.3154 0.0000 0.5160 [2 per cell]  6 Ta 2.47-2.50

For more than 20 years, the Leningrad nuclear plant has successfully produced cobalt isotopes at its RBMK reactors and this year also saw the start of a project for the production of cobalt-60 at the new BN-800 fast reactor at Beloyarsk NPP. Nuclear utility Rosenergoatom (part of Rosatom) plans to increase supplies of Co-60 to the international market to about 10m curies a year.

Photo courtesy NIIAR